P.S. I Hate You

Chapter Fourteen

Chapter Fourteen


“Nicole Watson. I've fell in love with you that night we made our babies and I haven't stopped since. I love the way you look when you're mad or upset. I love the way that you will stoop at nothing to get what you want. I love how you know not to take my bull shit. Nick you make me a better man and I'm so grateful for that. My life has been turned upside down since you came into my life. I want to make you Mrs. Nicole Robinson, and never let you go. Nick, will you marry me?”

My heart felt as if was about to burst out of my chest.
“Yes, I will marry you, Ethan Robinson!” Nick said as tears rolled down her face. Joy overcame my body, I got off my knee and slipped the ring on to her finger. It fit perfectly. Sam and Jamie ran over to congratulate us.
“Awe man! Why didn't you tell me? All I know is I better be the best man or I'm kicking your ass!” Jamie said to me giving me a hug.
“Shut up! Of course you're my best man! And I didn't tell you because I wanted it be a surprise and you suck at keeping secrets. “ I said laughing at his facial expression.
Sam walked over to me,
“Hey brother-in-law! You better treat her right, or I will kick your ass.” she said giving me a good punch in the arm. Then she gave me a hug and said, “You're a good guy Ethan, no matter what I thought of you at first. Ok enough of the sweet shit.” she let go and went over to where Jamie and Sam where standing.. They smiled at each other and I already knew that next it would be them to get married.
I went to steal my bride to be away from the group, “So you ready to go Mrs. Robinson?”
She smiled, “I love the sound of that. And yes I am Mr. Robinson.” We went over to tell Sam and Jam that we were leaving and we left. On the ride home Nick fell asleep, I guess tonight has tired her out. We pulled about 20 minutes later and I got her upstairs and put her to bed.

Data records, as found in the file >
-- begin --
# 1
ORCA calculation (ωB97M-V with the def2-TZVPD basis set) on a molecular structure, C18H14BrCl2N3O4Pt in a non-equilibrium geometry.

Each line ends with the Löwdin charge.
Element x y z (Å)
Pt (0.0069, 0.1583, -0.0128)  1.056
C (-1.5120, -2.1244, 3.1930)  -0.024
C (-0.9606, -1.4740, 4.2827)  -0.030
C (-0.3345, -0.2552, 4.0889)  0.010
C (-0.2713, 0.2791, 2.8164)  -0.195
N (-0.7942, -0.3692, 1.7625)  -0.065
C (-1.3960, -1.5449, 1.9457)  -0.102
C (0.3958, 1.5558, 2.4907)  -0.197
C (0.5775, 2.5863, 3.3935)  0.004
C (1.2116, 3.7447, 2.9737)  -0.038
C (1.6374, 3.8386, 1.6611)  -0.022
C (1.3979, 2.7779, 0.8053)  -0.066
N (0.7947, 1.6674, 1.2188)  -0.005
H (-2.0094, -3.0779, 3.2961)  0.116
H (-1.0080, -1.9180, 5.2683)  0.117
H (0.1354, 0.2736, 4.9069)  0.118
H (-1.7836, -2.0241, 1.0586)  0.099
H (0.2134, 2.4829, 4.4069)  0.116
H (1.3633, 4.5659, 3.6610)  0.115
H (2.1377, 4.7252, 1.2982)  0.116
H (1.6966, 2.8046, -0.2313)  0.115
O (2.1061, -1.3021, 1.0774)  -0.159
N (1.7168, -2.3048, 0.4908)  -0.251
O (0.6334, -2.1634, -0.1620)  -0.299
Cl (-3.2911, 1.1303, -0.5669)  0.544
C (-3.3591, -0.3630, -1.4924)  -0.958
Cl (-1.7529, -1.1135, -1.7193)  0.607
H (-3.7550, -0.1431, -2.4753)  0.027
H (-3.9829, -1.0683, -0.9591)  0.024
Br (3.0344, 2.8234, -7.8326)  0.721
C (2.3421, 2.4899, -6.0961)  -0.690
C (1.6985, 3.5122, -5.4191)  -0.122
C (1.1486, 3.2498, -4.1733)  -0.014
C (1.2570, 1.9852, -3.6115)  -0.133
C (1.9398, 0.9812, -4.2916)  -0.006
C (2.4825, 1.2272, -5.5450)  -0.117
C (0.6204, 1.7081, -2.2804)  -0.625
O (-0.1646, 2.5104, -1.7910)  -0.003
O (0.9925, 0.5833, -1.7347)  -0.222
H (1.6287, 4.4955, -5.8636)  0.099
H (0.6271, 4.0239, -3.6257)  0.118
H (2.0385, 0.0074, -3.8315)  0.121
H (3.0107, 0.4525, -6.0834)  0.101

Gap between HOMO and LUMO ... 6.47 eV
Relative energy (zero: lowest compared OMol25 entry of this formula, charge and spin) ... 81.0 kJ/mol
LUMO ... -0.960 eV

# 2
ORCA calculation (ωB97M-V with the def2-TZVPD basis set) on a molecular structure, C47H63HfI2N2O7.

Each line ends with the Löwdin charge.
Element x y z (Å)
Hf (2.8549, -1.6993, -0.0655)  1.672
C (1.4897, -4.6643, -0.7573)  0.010
O (1.3447, -3.2485, -0.4448)  -0.288
C (-0.0017, -2.7945, -0.4680)  -0.180
C (-0.7179, -2.7823, 0.7178)  -0.106
C (-0.1358, -3.2510, 2.0442)  -0.053
C (0.1228, -2.0935, 2.9882)  -0.126
C (-0.6941, -1.8369, 4.0799)  0.023
C (-0.5116, -0.7240, 4.9049)  -0.153
C (0.5358, 0.1384, 4.5914)  0.030
C (1.3694, -0.0861, 3.5002)  -0.136
C (2.4050, 0.9163, 3.0483)  -0.051
C (1.8929, 1.6302, 1.8091)  -0.110
C (0.7785, 2.4477, 1.9141)  0.039
C (0.2124, 3.0911, 0.8157)  -0.135
C (0.8248, 2.9121, -0.4203)  0.051
C (1.9506, 2.1077, -0.5751)  -0.115
C (2.5714, 1.9471, -1.9517)  -0.058
C (1.6536, 1.1564, -2.8511)  -0.137
C (0.9005, 1.7758, -3.8464)  0.031
C (-0.0263, 1.0748, -4.6097)  -0.153
C (-0.1802, -0.2832, -4.3319)  0.021
C (0.5502, -0.9304, -3.3483)  -0.124
C (0.2671, -2.3651, -2.9720)  -0.046
C (-0.5346, -2.3884, -1.6822)  -0.106
C (-1.8386, -1.9231, -1.6738)  0.040
-- stop --


“Mrs. Watson, are you busy or am I boring you that much that you can answer to a question that I've ask you five times?” Mr. Underwood spat, snapping me out of my day-dream. Jamie was on my mind and I couldn't help but go places when I think about him.
“No, sir. You're boring much more than you realized.” I said pissed.
“Attitude I see, how about you spend saturday with me at detention then?” he say.
“Naw I'm kinda busy that day. See I have a life which includes spendinh time with people who have a purpose in life.”
“Oh, really then? How about I send you to the office and have the principal deal with you then?”
“Fine with me. Haven't seen Mrs. G in awhile. This should be fun.” I said getting up from my desk and walking out. I was walking down b-hall on my way to see one of my least favorite person in the world, Mrs. Gilbert. She was this 35 year old blonde who decided she didn't want daddy's money anymore so she switched from parties and Rodeo Dr. to Harvard University to study how to become a principal. Now since she graduated and got what she wanted she felt like she was the perfect example of a turned around person. Every time I see her, so tries to be a shrink and get inside my head. It's always, “I use to be like you once. Disobeying my parents, late night parties, the “wild child”.” and “You could be so much better if you would drop this bad girl act. You are a honor student. Why ruin that by being your teachers worst nightmare?”
Personally I couldn't care less, it isn't a act. I hate being here in this hell hole, yes I want to be something better and I will. But making these asshole we call teachers life a nightmare on the way isn't such a bad idea. I smiled as I made it to the office, I walked in and went straight to Mrs. G office. The secretaries just shook there heads, I knocked on the door.
“Come in. Samone.” Mrs. G said before I even opened the door.
I smiled and walked in, “Sup Mrs. G. How ya been lately? Heard you had a hot date with the new sexy French teacher? Did he show you his we we?”
“Sam why do you enjoy mouthing off? And where did you heard such a ridiculous thing? The things you teenagers say now-a-days. So what are you here for today?” she said sighing.
“Well I was day dreaming in boring Government class, when Mr. Underwood became all bitchy about me now paying attention. So he tried to give me detention this Saturday. I told him I had better things to do then spend a free Saturday with him. So he suggested that I come see you, and of course I was like 'Yeah! I haven't seen Mrs. G in awhile why not?'”
“Oh really, did you sound like how you're telling me now or were you a little more harsh?” she said giving me this look.
“I think I hurt his woddle feelings. But hey I don't really care, you know that. So what is it? I have to clean the caf for two weeks. Join the Greek squad and went the scholastic bowl? What?”
“I think I like the idea Mr. Underwood has proposed to you, since you're too high of a person to spend time with someone as low and uncool as a teacher, and on a Saturday none the less!” Mrs. G said giving me a sinister smile.
“Oh you've got to be freaking kiddin' me! I'd rather lick a goat ass then spend time with the middled age fart!. Give me anything else I don't care just not Mr. Underwood!” I said pissed that she actually sided with the fat fuck!
“No I think this will be good for you Sam. You're dismissed.” she said turning her attention to her laptop.
I got up after I realized she wasn't kidding. I slammed the office door as I stormed back to class, then I bell rang, signaling the end of school. Pissed that I forgot, I turned and stormed to my locker. When I got there Jamie was standing waiting for me. When he saw my expression he knew something was wrong.
“What did you do now?” he said sighing.
“Why does it have to be I did something?” I asked knowing why.
“Because babe you tend to say whatever you feel without thinking about the consequences. Who did you pissed off today?” he said smiling.
“Mr. Underwood, he got his panties in a knot because I wasn't paying attention. Then said he said that I got detention this Saturday. Then in a not so nice way I basically said that I would rather die then spend a Saturday with him and he sent me to Mrs. G. So I told what happen and she agreed with him and I now have to spend Saturday with that fat poor excuse of a man.” I sighed.
“Come on Sam! I was going to take you out this weekend! Why did you have to go off on him. And what were you day dreaming about that made you space out?” he asked looking frustrated.
I looked at him and gave him that 'do you really have to ask?' look. He got it, “Oh. So you were day dreaming about me huh?” he said giving me a sexy smile to lean into me.
“What was I doing? Something like this?” he said leaning towards my neck as he spoke making my breathing speed up, My neck became moist from his cool breathe, my legs felt like jelly and I wanted to melt into him. He kissed my neck and I nearly screamed out in pleasure.
“Or something like this?” he said pushing me against the locker and grabbing my waist making my legs go around his. I looked around to see if anybody was paying attention. I saw no one.
He kissed me passionately as his hands roamed my body. I was going insane, a moan escaped my lips and I cursed myself for showing him how much this was effecting me. He moved from my lips, giving me a smirk, and went to the nape of my neck. He bit me as his tongue worked it's magic.
'If doesn't stop I'm going to explode!' I screamed at myself. I pushed him off of me even though I didn't want to.
“We have to go before we get caught.” I said walking fast towards the front of the school. Jamie was running to catch up with me, when he finally did I was at his car having a fight with myself. I didn't notice him until he said something to me.
“Hey whats wrong?” he said looking concerned. It was cute.
“N-n-no-nothing. I was just worried that we might get caught.” I said hoping he would leave the situation alone.
“Come on Sam we both know you could care less if we were caught. So what's the real reason?”
“I got scared ok? Can we leave it alone for now?” say hoping he would leave it alone again.
“Fine.” he said, but his eyes look unsure as he opened the door for me.
On the ride to my house I thought about what happened, I don't even know why I froze up either. I think I'm scared to give myself fulling to Jamie, because if he had all of me he might not like it. I have a lot of issues,and I'm pretty sure he doesn't want the Sam Problems subscription.
We pulled into drive way and I got out, Jamie followed me inside. I walked in the kitchen to find Nick cooking and Ethan at the counter staring at her as if she was the only girl in the world.
“Hey you two. What ya cookin'? Because I want some, I'm starving.” I said and I really was. I sat at the counter with Ethan. I sat on one side and Jamie sat on the other.
“I'm cooking fried chicken, macaroni and cheese, and green beans. How was school?” she asked.
“Ummm, well I got detention this Saturday but other than that it was the same shitty school day.” I told her.

Next to the entry, the page also holds quantum chemistry results:
Entry 1:
9
Properties=species:S:1:pos:R:3:forces:R:3:nbo_charge:R:1 method="wB97M-V/def2-TZVPD" largest_force_ha_per_bohr=0.0870 lumo_ev=-1.031 molar_mass_g_mol=84.14 relative_energy_ev=2.645 e_homo_ev=-8.851
C -1.556 -0.311 0.488 -2.4 0.0 -0.3 -0.667
C -0.170 -0.056 0.109 1.9 -1.1 3.9 -0.120
C -0.095 0.544 -1.095 0.9 0.2 -0.9 -0.096
C -0.175 0.834 -2.237 0.1 0.7 -1.0 -0.104
H -1.726 -1.358 0.769 0.1 0.4 0.5 0.249
H -1.882 0.437 1.241 0.2 -0.8 0.0 0.252
H -2.220 -0.118 -0.386 0.4 -0.2 0.6 0.223
H -0.123 1.218 -3.191 0.0 0.4 -1.5 0.228
S 1.120 -0.390 1.124 -1.2 0.3 -1.3 0.034

=====

Entry 2:
10
Properties=species:S:1:pos:R:3:forces:R:3:nbo_charge:R:1 method="wB97M-V/def2-TZVPD" largest_force_ha_per_bohr=0.0825 lumo_ev=-1.487 molar_mass_g_mol=116.21 relative_energy_ev=2.523 e_homo_ev=-8.953
C -0.111 1.359 0.040 -2.5 1.8 -1.0 -0.182
C 0.045 0.067 -0.115 0.1 -0.7 0.3 -0.298
C 1.317 -0.617 -0.006 0.1 -3.5 2.3 -0.312
C -1.157 -0.730 -0.111 -1.4 -0.8 0.2 -0.235
H 0.702 2.039 -0.134 0.1 0.4 0.6 0.219
H -1.281 1.612 0.082 2.9 0.3 0.1 0.231
H 1.264 -1.748 0.537 -0.4 2.8 -1.8 0.204
H -0.886 -1.808 -0.090 -0.9 0.4 -0.1 0.207
S 2.795 -0.064 -0.116 1.0 0.7 -0.5 0.116
S -2.688 -0.110 -0.089 1.0 -1.4 -0.1 0.050

=====

Entry 3:
10
Properties=species:S:1:pos:R:3:forces:R:3:nbo_charge:R:1 method="wB97M-V/def2-TZVPD" largest_force_ha_per_bohr=0.0922 lumo_ev=-0.536 molar_mass_g_mol=116.21 relative_energy_ev=3.788 e_homo_ev=-8.393
C 2.571 1.432 0.251 2.2 -0.7 0.0 -0.239
C -1.561 -1.705 0.480 2.2 -0.1 -0.4 -0.448
C -0.795 -0.718 -0.118 0.2 -1.4 1.5 -0.455
C 1.641 2.057 -0.097 -4.2 2.1 -0.2 -0.234
S -3.126 -1.680 -0.216 0.5 1.9 -1.7 0.194
S -1.925 -0.135 -1.241 -2.1 0.3 -0.5 0.215
H 3.572 1.152 0.292 0.9 -0.8 0.4 0.230
H -1.317 -2.681 0.852 0.7 0.2 1.1 0.225
H 0.259 -0.313 -0.031 -1.5 -0.9 0.0 0.265
H 0.681 2.590 -0.171 1.1 -0.6 -0.2 0.246

=====

Entry 4:
104
Properties=species:S:1:pos:R:3:forces:R:3:mulliken_charge:R:1 method="wB97M-V/def2-TZVPD" largest_force_ha_per_bohr=0.0173 lumo_ev=-0.789 molar_mass_g_mol=882.73 e_homo_ev=-10.131
O -1.776 1.638 -5.927 -0.5 -0.2 -0.1 -0.307
N -1.620 1.396 -4.816 0.8 0.3 0.0 0.323
O -2.464 0.303 -4.336 -0.1 -0.3 -0.1 -0.216
B -1.677 -0.697 -3.777 -0.4 0.4 -0.1 0.379
O -0.514 -1.064 -4.421 -0.2 -0.4 -0.1 -0.675
B -0.025 -2.314 -4.047 0.2 0.0 -0.3 0.476
O -0.092 -2.650 -2.727 0.0 0.2 -0.2 -0.643
B -0.857 -1.759 -1.989 -0.5 -0.2 0.6 0.761
C -0.414 -1.170 -0.631 -0.1 -0.8 0.2 -0.534
C 0.512 -2.091 0.183 -0.3 0.3 -0.1 -1.279
C 1.611 -1.378 0.939 0.2 -0.6 0.0 1.073
F 1.075 -0.438 1.771 0.1 0.3 0.0 -0.351
Br 2.520 -2.694 2.065 0.0 0.2 -0.2 -0.108
C 2.641 -0.682 0.012 0.1 0.5 0.2 0.250
F 2.887 -1.515 -1.037 0.1 0.1 0.0 -0.208
F 2.080 0.446 -0.506 0.1 -0.4 0.0 -0.172
Br 4.307 -0.164 0.821 -0.2 -0.1 0.0 -0.026
O -2.042 -1.289 -2.597 0.7 0.3 -0.1 -0.038
H 0.405 -3.031 -4.886 0.2 0.0 0.1 -0.130
H -1.309 -0.938 -0.058 0.0 0.3 0.1 0.368
H 0.027 -0.206 -0.885 0.0 0.1 0.0 0.064
H 0.938 -2.887 -0.415 0.2 0.0 -0.1 0.475
So much for the quantum chemistry results:

She turned and gave me that look, “Sam! Why? I wanted to go dress shopping that day! Ugh! You and you're not giving a fuck attitude! I should kick your ass!” she said looking like a mother already.
“Yeah I yelled at her too, but it didn't seem to phase her that much.” Jamie said looking at me, smiling.
I smiled, “Being a mom looks good on you.”
“Don't try and sweet talk me. And thank you. Oh, and for dessert we are having apple pie and French vanilla ice cream.” Nick said going back to cooking, she bent down to check on the macaroni. She came back up and grabbed her stomach, she smiled and gestured for us to come over, “Hurry up come feel, the babies are kicking.” We all got up and rush over to her, Ethan put his hand out to touch first. I saw one of the babies foot as they kicked. I was so amazed Ethan let me touch next and I couldn't believe what was happening. I looked up at Nick and she smiled, I let Jamie feel next and he had this look on his face. Then he looked at me and kissed me, he whispered in my ear, “I can't wait to have children with you.”
And for some reason I wasn't terrified at the comment, I honest could say that I couldn't wait either.


We were all sitting at the dinner table eating apple pie talking about the old days.
“Member when Ethan put worms in your lunch box in 4th grade? You were so scared and pissed, after lunch you went up to him and punch him right in his stomach.” Jamie said laughing.
“I remember that! Mom had said that it was just Ethan way of showing you that he liked you. You got so mad that you went on the roof and said you were going to jump off if we didn't stop saying that you had a boyfriend?” I ask Nick.
She had her face all twisted up, “Yeah I remember. You and Mom teased me for weeks about it, I still remember the song you and mom sung; “Ethan and Nick sitting in a tree, k-i-s-s-i-n-g! First comes love then comes marriage, then the baby in the baby carriage.” She laughed and looked at Ethan, “I guess we went a little out of order.”
We all laughed at that, then the door opened and dad walked in.
“Oh hey. Didn't know you guys were still up.” Dad said walking into the kitchen. We were about to tell him we're remembering old times, when a woman walked in behind him. And you wouldn't believe who the hell it was!
“What the hell is Mrs. Gilbert doing here!” me and Nick yelled at dad.